Like a refreshing sip of ice-cold soda on a hot day, nothing hits a netizens soul quite like a nice meme. As any regular internet user knows, in this day and age, one can find a meme about basically everything, from the legal profession and cats, to cars and cinema.
The “Marvel Memes” online community is dedicated to exactly that, funny and relatable posts featuring the larger-than-life heroes from comics and cinema. So get comfortable as you scroll through, upvote your favorites and be sure to share your thoughts and ideas in the comments section below.
#1 Captain Merica

Image credits: KarateKid84Fan
#2 Fr

Image credits: scarface2069
#3 Sounds Like A Good Idea

Image credits: UnpleasantRhinoceros
Comic books, the medium that originally made Marvel famous, has been around longer than many people might expect. The Swiss cartoon Histoire de Mr. Vieux Bois (also known as Les amours de Mr. Vieux Bois, or, in English "The Adventures of Mr. Obadiah Oldbuck") was first published in 1827.
Interestingly, many of the elements in this comic were derived from political cartoons of the 17th and 18th century, including exaggerated images and speech bubbles. While the subject matter is at this point hardly comprehensible, the format and look of these two centuries old comics would still be familiar to a modern audience.
#4 Probably To Avoid The Hospital Bill Honestly

Image credits: Ok_Young_5242
#5 Oh Tom

Image credits: mannamedBenjamin
#6 Storm Has 0 Self-Awareness

Image credits: Wizzxd__
While we tend to associate comic books with superheroes, at the time, it was a very common format for all sorts of content. Detective stories, science fiction and adventure comics were all quite popular. It was Jerry Siegel and Joe Shuster's Superman, published in 1938, that really started the “Golden Age” of comic book heroes.
#7 Just Another Rich Snob

Image credits: andson-r
#8 Some Call It Too Specific

Image credits: henlord
#9 Well I Mean…

Image credits: Oraki1
This “Golden Age” of American comics lasted about two decades and saw the creation of many of the heroes we still think about today, from the aforementioned Superman, to Captain America, Wonder Woman and Batman. Marvel was one of the more successful publishing houses, but it wasn’t the only player.
#10 Lmao

Image credits: Direct-Pineapple-193
#11 It Was A Great Moment Though

Image credits: nervo23
#12 That Would Have Been Legendary

Image credits: AlienX_Tord
For example, many of the most famous superheroes, Batman and Robin, Superman and Wonder Woman, were all created by Detective Comics in the 1940s. Yes, DC stands for “Detective Comics,” another bit of evidence that superheroes were just one common genre at the time.
#13 From CEO Of Sex To Sorcerer Seggs

Image credits: mr_fabulous_2006
#14 Quick Oc

Image credits: dkt_666
#15 Poor Vision

Image credits: andson-r
Marvel saw its own heyday (if we discount the present) in the 60s and 70s, with Stan Lee’s Fantastic Four and the iconic Spiderman. Marvel itself, unlike its biggest rival, DC, did start with comic books, although its creator, Martin Goodman, made his fortune in pulp westerns.
#16 He Looks Good In It Tho

Image credits: prettytingbaexo
#17 I've Thought About This A Lot

Image credits: FeetAndHandFetish
#18 Facts Though

Image credits: Ethanstrong10
Marvel actually switched to horror, Westerns, humor, crime and even Bible stories in the 50s, as superheros seemingly fell out of fashion. Much of the company's later success has to be attributed to Stan Lee who focused on creating heroes and stories that were more appealing to older audiences.
#19 Growing Up Watching Spider-Man I Always Thought It Made Sense To Have Organic Webs. He Can Do Everything Else A Spider Can Do! Why Not Spin Web Too?

Image credits: Ne1tche-son
#20 Wolverine

Image credits: Fart2Start
#21 I Don't Need Sleep, I Need Answers!

Image credits: SkyKwaii
However, many modern people recognize the iconic red logo not from a comic book, but from the intro to the many blockbusters, produced by the Walt Disney Company. Disney acquired Marvel in 2009, including its filmmaking branch, Marvel studios, hot off of the success of 2008s Iron Man.

Image credits: Fazedave206
#23 I've Been Signing For 30 Minutes!

Image credits: SawasdeKah
#24 Oh How Far We've Come

Image credits: g0tanks
Since then, with some misses, the world of superheroes has been dominated by cinema. Indeed, a fifth of Marvel Studios' films are among the fifty highest-grossing films of all time, easily surpassing the comic books in terms of readership. Like with anything that has mass appeal, it didn’t take long for netizens to turn their favorite heroes and moments into memes.
#25 Poor Hawkeye

Image credits: xkingmox
#26 It Be Like That

Image credits:
#27 Flashback

Image credits: KingKunta91
#28 Irony Man

Image credits: jpott879
#29 Saw This On Twitter

Image credits:
#30 "Too Dangerous To Be Kept Alive."

Image credits: leafinferno
#31 True

Image credits: I-_-aM-_-yOu
#32 ?

Image credits: Is_ervison
#33 Landlord's Daughter>

Image credits: Ok_Employ6168
#34 This Is Fine

Image credits: mr_fabulous_2006
#35 You Can’t Escape His Lecture No Matter You Are Thanos!

Image credits: neerajanchan
#36 What Marvel Quote Is So Funny When Out Of Context?

Image credits: ar_torres
#37 Ooops

Image credits: Iboshero
#38 This Is Still Stupid

Image credits: Wizzxd__
#39 Admit It: You Thought About This, Too, When It Happened

Image credits: damnboi911
#40 I'm Kinda Done With The Dceu Tbh

Image credits: uncommonoddity
#41 Umm…

Misplaced calculated crystals =
Record 1
Below is a relaxed Tb8Pr6Sm crystal, with properties calculated at the GGA-PBE level.

```
data_Tb8Pr6Sm
_chemical_formula_sum 'Tb24 Pr18 Sm3'
_cell_length_a 9.1974
_cell_length_b 9.1974
_cell_length_c 21.0363
_cell_angle_alpha 90.00
_cell_angle_beta 90.00
_cell_angle_gamma 120.00
_space_group_name_H-M_alt 'R -3'
_space_group_IT_number 148
_space_group_name_Hall '-R 3'
loop_
_atom_site_label
_atom_site_type_symbol
_atom_site_fract_x
_atom_site_fract_y
_atom_site_fract_z
Tb1 Tb 0.0000 0.0000 0.0766
Tb2 Tb 0.0802 0.5232 0.3073
Pr1 Pr 0.0593 0.8117 0.2102
Sm1 Sm 0.0000 0.0000 0.5000
```

=====

Record 2
Below is a relaxed Tb15PrSm4 crystal, with properties calculated at the GGA-PBE level.

```
data_Tb15PrSm4
_chemical_formula_sum 'Tb15 Pr1 Sm4'
_cell_length_a 5.069
_cell_length_b 5.069
_cell_length_c 25.291
_cell_angle_alpha 90.00
_cell_angle_beta 90.00
_cell_angle_gamma 90.00
_space_group_name_H-M_alt 'P 4/m m m'
_space_group_IT_number 123
_space_group_name_Hall '-P 4 2'
loop_
_atom_site_label
_atom_site_type_symbol
_atom_site_fract_x
_atom_site_fract_y
_atom_site_fract_z
Tb1 Tb 0.000 0.000 0.000
Tb2 Tb 0.000 0.000 0.201
Tb3 Tb 0.000 0.000 0.400
Tb4 Tb 0.000 0.500 0.101
Tb5 Tb 0.000 0.500 0.300
Tb6 Tb 0.000 0.500 0.500
Pr1 Pr 0.500 0.500 0.000
Sm1 Sm 0.500 0.500 0.201
Sm2 Sm 0.500 0.500 0.400
```

=====

Record 3
Below is a relaxed Tb4PrSm3 crystal, with properties calculated at the GGA-PBE level.

```
data_Tb4PrSm3
_chemical_formula_sum 'Tb8 Pr2 Sm6'
_cell_length_a 11.577
_cell_length_b 7.329
_cell_length_c 6.325
_cell_angle_alpha 90.00
_cell_angle_beta 90.00
_cell_angle_gamma 90.00
_space_group_name_H-M_alt 'P m n 21'
_space_group_IT_number 31
loop_
_space_group_symop_operation_xyz
'x,y,z'
'-x+1/2,-y,z+1/2'
'-x,y,z'
'x+1/2,-y,z+1/2'
loop_
_atom_site_label
_atom_site_type_symbol
_atom_site_fract_x
_atom_site_fract_y
_atom_site_fract_z
Tb1 Tb 0.000 0.123 0.000
Tb2 Tb 0.000 0.877 0.500
Tb3 Tb 0.249 0.123 0.333
Pr1 Pr 0.000 0.626 0.999
Sm1 Sm 0.000 0.373 0.499
Sm2 Sm 0.250 0.373 0.833
```

=====

Record 4
Below is a relaxed Tb5PrSm3 crystal, with properties calculated at the GGA-PBE level.

```
data_Tb5PrSm3
_chemical_formula_sum 'Tb20 Pr4 Sm12'
_cell_length_a 15.319
_cell_length_b 11.482
_cell_length_c 9.935
_cell_angle_alpha 90.00
_cell_angle_beta 129.98
_cell_angle_gamma 90.00
_space_group_name_H-M_alt 'C 1 2/m 1'
_space_group_IT_number 12
loop_
_space_group_symop_operation_xyz
'x,y,z'
'-x,-y,-z'
'-x,y,-z'
'x,-y,z'
'x+1/2,y+1/2,z'
'-x+1/2,-y+1/2,-z'
'-x+1/2,y+1/2,-z'
'x+1/2,-y+1/2,z'
loop_
_atom_site_label
_atom_site_type_symbol
_atom_site_fract_x
_atom_site_fract_y
_atom_site_fract_z
Tb1 Tb 0.000 0.243 0.000
Tb2 Tb 0.147 0.250 0.748
Tb3 Tb 0.222 0.000 0.224
Tb4 Tb 0.226 0.500 0.047
Pr1 Pr 0.248 0.500 0.411
Sm1 Sm 0.000 0.000 0.500
Sm2 Sm 0.000 0.500 0.000
Sm3 Sm 0.007 0.000 0.814
Sm4 Sm 0.019 0.500 0.358
```

=====

Values for ΔE_f, meV/atom, ordered as above
118 17 26 494

* * * * *

1.
Sm3Y8Th2 | GGA-PBE | optimized geometry

```

Image credits: ClintYeastWood23

Image credits: Fazedave206
#43 Lmao!! Fcuk Logic

Image credits: kidneyman2
#44 Therapists In The Mcu: $$$

Image credits: Legopiedo99
#45 I Knew Something Was Off

Image credits: RagnelI
#46 F

Image credits: GhostWaker
#47 Didn't Really Think That One Through, Huh?

Image credits:
#48 Jonathon Not Allowed In House

Image credits: AlivePal
#49 Evil Thanos Be Like

Image credits: IMAGESHAND
#50 Fun Fact #1

Image credits: CarnageOp9104